[Source]
-- begin --
Computed, not measured: C4H9NO as an isolated structure, with ωB97M-V/def2-TZVPD.

XYZ file:
```
15
Properties=species:S:1:pos:R:3
C 1.473 -0.520 -0.720
N 0.534 0.388 -0.106
C 0.583 0.309 1.347
C -0.666 0.747 -0.778
C -1.801 0.164 -0.399
O -1.941 -0.815 0.508
H 2.489 -0.306 -0.384
H 1.233 -1.580 -0.536
H 1.477 -0.357 -1.801
H 0.425 -0.722 1.687
H -0.256 0.865 1.773
H 1.524 0.732 1.708
H -0.643 1.778 -1.113
H -1.680 -1.233 -0.393
H -2.750 0.548 -0.794
```

Computed properties:
ΔE to the lowest compared entry with this formula, charge and spin	94.13	kcal/mol
LUMO	0.84	eV
HOMO	-8.155	eV

Computed, not measured: C17H40NOP3W as an isolated structure, with ωB97M-V/def2-TZVPD.

XYZ file:
```
63
Properties=species:S:1:pos:R:3
W 0.710 0.838 -1.465
P 1.909 -4.019 0.752
P -1.432 1.914 -0.203
P 1.824 1.448 0.721
H 0.755 -1.167 -3.715
C 1.422 -0.631 -3.036
C 1.308 -1.253 -1.665
H 1.125 -0.646 -0.678
C 0.719 -5.037 -0.121
C 1.186 -2.499 1.387
C 2.661 -4.979 2.079
C -1.901 3.394 -1.217
C -3.029 0.967 -0.247
C -1.685 2.682 1.458
C 3.500 0.941 1.291
C 1.005 1.255 2.353
C 2.156 3.260 0.563
H 2.437 -0.761 -3.437
H 0.663 -2.132 -1.656
H 1.081 -5.110 -1.151
H -0.283 -4.597 -0.108
H 0.676 -6.045 0.308
H 0.431 -2.102 0.693
H 1.975 -1.734 1.466
H 0.737 -2.647 2.381
H 3.354 -5.725 1.674
H 1.897 -5.507 2.671
H 3.218 -4.326 2.765
H -2.435 4.118 -0.583
H -2.551 3.103 -2.054
H -0.993 3.874 -1.607
H -3.750 1.423 0.449
H -2.858 -0.072 0.072
H -3.488 0.972 -1.247
H -2.679 3.151 1.488
H -0.929 3.453 1.638
H -1.643 1.919 2.244
H 3.745 1.534 2.184
H 4.250 1.121 0.512
H 3.510 -0.127 1.544
H 1.769 1.094 3.125
H 0.341 0.383 2.336
H 0.437 2.151 2.617
H 2.396 3.662 1.561
H 1.292 3.791 0.138
H 3.025 3.403 -0.096
C 3.593 -0.707 -1.298
C 2.930 0.544 -1.526
C 3.748 1.600 -1.978
C 5.136 1.424 -2.060
C 5.753 0.220 -1.693
C 4.990 -0.856 -1.273
O 2.824 -1.840 -1.245
H 2.801 -3.542 -0.266
H 1.219 0.502 -3.214
H 3.257 2.540 -2.272
H 5.740 2.270 -2.401
H 6.841 0.113 -1.736
H 5.418 -1.813 -0.975
N -1.042 0.478 -2.785
H -1.814 0.017 -2.286
H -0.838 -0.144 -3.574
H -1.427 1.323 -3.211
```

Computed properties:
ΔE to the lowest compared entry with this formula, charge and spin	0.00	kcal/mol
spin multiplicity	3
LUMO (spin up / spin down)	-14.59 / -15.54	eV
HOMO (spin up / spin down)	-20.273 / -20.263	eV
net charge	+4

Computed, not measured: an isolated ion of composition C4H9N2 and charge +1, with ωB97M-V/def2-TZVPD.

XYZ file:
```
15
Properties=species:S:1:pos:R:3
C 2.994 -0.039 0.227
C 1.214 0.068 0.038
N -0.150 0.235 0.030
C -0.862 0.149 1.321
C -0.403 -1.011 -0.785
N -0.700 1.332 -0.696
H 3.366 -0.872 -0.348
H -0.539 -0.728 1.879
H -0.664 1.037 1.922
H -1.931 0.086 1.117
H -1.468 -1.052 -1.017
H 0.155 -0.973 -1.722
H -0.110 -1.903 -0.229
H -0.219 1.479 -1.580
H -0.684 2.192 -0.157
```

Computed properties:
ΔE to the lowest compared entry with this formula, charge and spin	253.68	kcal/mol
LUMO (spin up / spin down)	-5.46 / -5.44	eV
HOMO (spin up / spin down)	-13.742 / -13.709	eV
net charge	+1

Computed, not measured: C4H7NO as an isolated structure, with ωB97M-V/def2-TZVPD.

XYZ file:
```
13
Properties=species:S:1:pos:R:3
C 1.911 0.026 -0.111
C 0.562 0.229 0.524
C -0.585 0.803 -0.337
C -1.153 -0.481 -0.056
N -2.451 -0.549 -0.126
O -0.188 -1.089 0.630
H 2.557 -0.599 0.514
H 2.393 1.001 -0.247
H 1.800 -0.445 -1.093
H 0.629 0.607 1.549
H -2.135 0.739 -0.133
H -0.331 1.063 -1.363
H -3.009 -1.305 0.250
```

Computed properties:
ΔE to the lowest compared entry with this formula, charge and spin	116.83	kcal/mol
LUMO	0.99	eV
HOMO	-8.257	eV

Computed, not measured: one molecule with the formula C3H5BrN2, with ωB97M-V/def2-TZVPD.

XYZ file:
```
11
Properties=species:S:1:pos:R:3
C -0.074 0.309 1.702
C -1.070 -0.035 0.525
Br -2.572 1.178 0.405
C -0.358 -0.858 -0.269
N 0.163 -1.245 -1.265
N 0.950 -0.441 -1.993
H 0.756 -0.369 1.517
H -0.412 0.249 2.704
H 0.220 1.164 1.197
H 0.940 0.644 -1.732
H 1.458 -0.596 -2.790
```

Computed properties:
-- stop --

[Work order]
Start at the top of the rows further up and retype each line, ending with the one that has "-8.257".

[Response]
Computed, not measured: C4H9NO as an isolated structure, with ωB97M-V/def2-TZVPD.

XYZ file:
```
15
Properties=species:S:1:pos:R:3
C 1.473 -0.520 -0.720
N 0.534 0.388 -0.106
C 0.583 0.309 1.347
C -0.666 0.747 -0.778
C -1.801 0.164 -0.399
O -1.941 -0.815 0.508
H 2.489 -0.306 -0.384
H 1.233 -1.580 -0.536
H 1.477 -0.357 -1.801
H 0.425 -0.722 1.687
H -0.256 0.865 1.773
H 1.524 0.732 1.708
H -0.643 1.778 -1.113
H -1.680 -1.233 -0.393
H -2.750 0.548 -0.794
```

Computed properties:
ΔE to the lowest compared entry with this formula, charge and spin	94.13	kcal/mol
LUMO	0.84	eV
HOMO	-8.155	eV

Computed, not measured: C17H40NOP3W as an isolated structure, with ωB97M-V/def2-TZVPD.

XYZ file:
```
63
Properties=species:S:1:pos:R:3
W 0.710 0.838 -1.465
P 1.909 -4.019 0.752
P -1.432 1.914 -0.203
P 1.824 1.448 0.721
H 0.755 -1.167 -3.715
C 1.422 -0.631 -3.036
C 1.308 -1.253 -1.665
H 1.125 -0.646 -0.678
C 0.719 -5.037 -0.121
C 1.186 -2.499 1.387
C 2.661 -4.979 2.079
C -1.901 3.394 -1.217
C -3.029 0.967 -0.247
C -1.685 2.682 1.458
C 3.500 0.941 1.291
C 1.005 1.255 2.353
C 2.156 3.260 0.563
H 2.437 -0.761 -3.437
H 0.663 -2.132 -1.656
H 1.081 -5.110 -1.151
H -0.283 -4.597 -0.108
H 0.676 -6.045 0.308
H 0.431 -2.102 0.693
H 1.975 -1.734 1.466
H 0.737 -2.647 2.381
H 3.354 -5.725 1.674
H 1.897 -5.507 2.671
H 3.218 -4.326 2.765
H -2.435 4.118 -0.583
H -2.551 3.103 -2.054
H -0.993 3.874 -1.607
H -3.750 1.423 0.449
H -2.858 -0.072 0.072
H -3.488 0.972 -1.247
H -2.679 3.151 1.488
H -0.929 3.453 1.638
H -1.643 1.919 2.244
H 3.745 1.534 2.184
H 4.250 1.121 0.512
H 3.510 -0.127 1.544
H 1.769 1.094 3.125
H 0.341 0.383 2.336
H 0.437 2.151 2.617
H 2.396 3.662 1.561
H 1.292 3.791 0.138
H 3.025 3.403 -0.096
C 3.593 -0.707 -1.298
C 2.930 0.544 -1.526
C 3.748 1.600 -1.978
C 5.136 1.424 -2.060
C 5.753 0.220 -1.693
C 4.990 -0.856 -1.273
O 2.824 -1.840 -1.245
H 2.801 -3.542 -0.266
H 1.219 0.502 -3.214
H 3.257 2.540 -2.272
H 5.740 2.270 -2.401
H 6.841 0.113 -1.736
H 5.418 -1.813 -0.975
N -1.042 0.478 -2.785
H -1.814 0.017 -2.286
H -0.838 -0.144 -3.574
H -1.427 1.323 -3.211
```

Computed properties:
ΔE to the lowest compared entry with this formula, charge and spin	0.00	kcal/mol
spin multiplicity	3
LUMO (spin up / spin down)	-14.59 / -15.54	eV
HOMO (spin up / spin down)	-20.273 / -20.263	eV
net charge	+4

Computed, not measured: an isolated ion of composition C4H9N2 and charge +1, with ωB97M-V/def2-TZVPD.

XYZ file:
```
15
Properties=species:S:1:pos:R:3
C 2.994 -0.039 0.227
C 1.214 0.068 0.038
N -0.150 0.235 0.030
C -0.862 0.149 1.321
C -0.403 -1.011 -0.785
N -0.700 1.332 -0.696
H 3.366 -0.872 -0.348
H -0.539 -0.728 1.879
H -0.664 1.037 1.922
H -1.931 0.086 1.117
H -1.468 -1.052 -1.017
H 0.155 -0.973 -1.722
H -0.110 -1.903 -0.229
H -0.219 1.479 -1.580
H -0.684 2.192 -0.157
```

Computed properties:
ΔE to the lowest compared entry with this formula, charge and spin	253.68	kcal/mol
LUMO (spin up / spin down)	-5.46 / -5.44	eV
HOMO (spin up / spin down)	-13.742 / -13.709	eV
net charge	+1

Computed, not measured: C4H7NO as an isolated structure, with ωB97M-V/def2-TZVPD.

XYZ file:
```
13
Properties=species:S:1:pos:R:3
C 1.911 0.026 -0.111
C 0.562 0.229 0.524
C -0.585 0.803 -0.337
C -1.153 -0.481 -0.056
N -2.451 -0.549 -0.126
O -0.188 -1.089 0.630
H 2.557 -0.599 0.514
H 2.393 1.001 -0.247
H 1.800 -0.445 -1.093
H 0.629 0.607 1.549
H -2.135 0.739 -0.133
H -0.331 1.063 -1.363
H -3.009 -1.305 0.250
```

Computed properties:
ΔE to the lowest compared entry with this formula, charge and spin	116.83	kcal/mol
LUMO	0.99	eV
HOMO	-8.257	eV